Chapter 475

It has to be said that the fierce firepower and ferocious lethality of anti-aircraft heavy machine guns can be called terror.

In this case, the continuous pursuit of the elite Chinese special forces had to stop immediately. After all, he braved the fierce fire of anti-aircraft heavy machine gun, continued to pursue forward, and used his team members' lives to consume the bullets of the enemy's heavy machine gun. Cheng Chong certainly won't do such a stupid thing.

# Someone pasted records of crystals at this point
/*
Diffraction record for LiMo3S5. The X-ray diffraction stick pattern is simulated, not measured: it uses a DFT-relaxed cell (GGA-PBE, OQMD) and CuKα.

Largest 8 diffraction maxima, by intensity, 2θ = 10–90°:
12.8°, intensity 100.0; 39.2°, intensity 40.0; 45.5°, intensity 37.5; 18.2°, intensity 22.4; 36.9°, intensity 15.9; 54.7°, intensity 12.8; 41.3°, intensity 11.4; 38.9°, intensity 7.9

abc: 5.6216 5.6216 6.9398
angles: 90.00 90.00 120.00
Space group P6/mmm (No. 191)
One atom of each set of equivalent atoms:
Li  0.0000  0.0000  0.0000 x1
Mo  0.0000  0.5000  0.5000 x3
S  0.0000  0.0000  0.5000 x1
S  0.3333  0.6667  0.2378 x4

---

Diffraction record for CdIn4I6. The X-ray diffraction stick pattern is simulated, not measured: it uses a DFT-relaxed cell (GGA-PBE, OQMD) and CuKα.

Largest 8 diffraction maxima, by intensity, 2θ = 10–90°:
28.3°, intensity 100.0; 30.9°, intensity 54.9; 48.3°, intensity 22.5; 36.2°, intensity 18.5; 44.7°, intensity 14.7; 27.6°, intensity 13.5; 28.7°, intensity 11.7; 57.3°, intensity 11.3

abc: 9.151 9.151 9.930
angles: 90.00 90.00 90.00
Space group P4/mnc (No. 128)
One atom of each set of equivalent atoms:
Cd  0.000  0.000  0.000 x2
In  0.146  0.354  0.250 x8
I  0.000  0.000  0.291 x4
I  0.149  0.693  0.000 x8

---

Diffraction record for KFePbS3. The X-ray diffraction stick pattern is simulated, not measured: it uses a DFT-relaxed cell (GGA-PBE, OQMD) and CuKα.

Largest 8 diffraction maxima, by intensity, 2θ = 10–90°:
12.1°, intensity 100.0; 30.4°, intensity 32.4; 30.6°, intensity 27.5; 27.2°, intensity 21.6; 35.5°, intensity 17.4; 45.4°, intensity 16.0; 24.6°, intensity 15.1; 24.2°, intensity 14.4

abc: 8.855 3.994 9.880
angles: 90.00 104.01 90.00
Space group P2_1/m (No. 11)
One atom of each set of equivalent atoms:
K  0.222  0.250  0.259 x2
Fe  0.073  0.250  0.589 x2
Pb  0.339  0.750  0.867 x2
S  0.076  0.250  0.808 x2
S  0.182  0.750  0.533 x2
S  0.443  0.750  0.156 x2
*/

However, this is also the pain in Chen Zheng's heart.

He found the four anti-aircraft heavy machine guns of the scorpion mercenary regiment just now.

Just now, he also wanted to take good care of the enemy's four anti-aircraft heavy machine guns. If he had spare power, he also wanted to take good care of the enemy behind the four anti-aircraft heavy machine guns.

Unfortunately, the explosives they carry are too limited to do so. In order to be more secure, better and faster support Cheng Chong and destroy the enemy's artillery position immediately, he had to give up this fat meat that had almost reached his mouth and made such a painful choice.

Because, sneak attacks are often disposable.

If you play in the same place for the second time, you'll be looking for your own death.

In other words, because the explosives in his hand were too limited, he had to reluctantly give up a chance to destroy the enemy's four anti-aircraft heavy machine guns.

At this time, when the enemy's four anti-aircraft heavy machine guns suddenly opened fire violently, Chen Zheng's sudden pain in his heart can be imagined.

However, their serial explosions delayed the firing time of the four anti-aircraft heavy machine guns of the scorpion mercenary regiment to a great extent.

Because just now, although the powerful energy released by the serial blasting failed to completely destroy the four far away anti-aircraft heavy machine guns, it still shook and collapsed a lot of rocks around the four anti-aircraft heavy machine guns. In other words, the original shooting position cannot be used, and the shooting position must be changed immediately.

This is also the main reason why the four anti-aircraft heavy machine guns of the scorpion mercenary regiment resumed firing after they had been misfiring for a long time.

Suddenly, he was violently blocked by machine gun fire, and the situation changed dramatically. In a very short time, Cheng Chong made a quick decision and decisively issued a stop order to the whole special combat formation.

"Why not work hard, take this commanding height and completely destroy the last stronghold and the last base camp of the scorpion mercenary regiment?" Feilong, who was trying to kill ahead, suddenly turned around and asked very incomprehensibly.

"We can't do that at this time." Cheng Chong then said, "in the face of the enemy's dense heavy firepower and the enemy's firepower deployment is not clear, if we launch a frontal strong attack and an urgent attack at this time, we are bound to pay a heavy price. Our special combat formation has few people and weak firepower, so we can't afford such losses and pay such a price."

"What should we do? If we don't fight, the four damn machine guns of the scorpion mercenary regiment won't destroy themselves?" Feilong, who always obeys Cheng Chong's orders, still has some doubts.

"It's not urgent. We'll have a good way." Cheng Chong hurried back,

At the moment, although Cheng Chong said so, he still had no bottom in his heart. Raota's special combat skills are so superb. After all, in such a short time, he can't think of a way to achieve both.

"When the enemy's situation is unknown, we'd better be safe. If we want to be quick, we can't reach it!" At this time, Chen Zheng, who climbed up slowly from behind, supported Cheng chongdao.

Relatively speaking, among the whole special combat formation, Chen Zhengfan is the one who knows the enemy's situation on the commanding height best. After all, he was the one who went deep into the tiger's den just now. He almost had a close contact with the machine gun fire set on the commanding height by the scorpion mercenary regiment.

At this time, since even he said so, what else does Feilong have to say?

The Flying Dragon nodded, agreed, and then asked, "what shall we do next?"

Cheng Chong looked at the flying dragon, thought a little, and then proposed, "I suggest we go back first. After dawn, we will reconnoiter the enemy's situation before making a decision. Anyway, the enemy's ship has already been bombed and sunk by us. Are we still afraid of him flying?"

"I agree with the suggestion of lone eagle." At this time, Wang Rong, who has always rarely interrupted and rarely participated in the formation decision, quietly climbed over and said, "after dawn, I'll use a UAV to spy on the base camp of the scorpion mercenary regiment. It's easy to fight after I find the flaw of the enemy."

"OK, let's do it." Everyone agreed.

The thought was soon unified. Under the leadership of Cheng Chong, the whole special combat formation soon retreated from the blocking area of machine gun fire of scorpion mercenary regiment.

Quickly counted the number of people and checked the injuries of the team members.

Fortunately, it is really because the military quality of the team members is very excellent and the combat effectiveness of individual soldiers is very strong.

Among all the special combat team members, only two or three of them had slight skin and flesh bruises, and the other team members were intact, which did not affect their combat effectiveness at all.

After a short rest, the team members took the time to quickly eat some field rations and replenish some energy. Cheng Chong didn't stay where he was and waited for dawn. Instead, he ordered again and led the team members to act quickly.

The purpose of his action this time is to eliminate the remaining enemies, that is, all the remaining enemies on the whole island, except the areas they can't get close to on the commanding heights to the south of the island.

At this time, Cheng Chong did so for at least two purposes.

The first purpose is to lure the enemy.

Yes, the enemy continued to stay in their base camp, guarding the commanding height of their machine gun fire, like a turtle, and continued to shrink in their shell. For a moment, the elite of this team of Chinese special forces really couldn't do anything about them and what to do with them.

However, the enemy hid in the protective circle of machine gun fire, and there was really no way to take them. However, the enemy who is not in the machine gun fire protection circle has a way to deal with it, and it is also very easy to deal with.

Because at this time, most of the enemy's last main force is concentrated on the commanding height to the south of the island, that is, their so-called base camp. Other enemies, however, are scattered in twos and threes, or even scattered alone in various areas to the north of the isolated island.

At this time, it is not easy to clean them up alone.

And once they are attacked, will they ask for help from their base camp?

At that time, it would be better if the enemy's base camp sent troops to help. As long as they are out of the protective circle of machine gun fire, the elite of this team of Chinese special forces have plenty of ways to deal with them.

If the enemy's base camp does not send troops for assistance, there is no way. Then they can only watch their companions in various regions of the scattered island be destroyed one by one by the elite Chinese special forces. At the same time, I watched their sphere of influence on the isolated island return to the elite of this team of Chinese special forces bit by bit.

The second purpose is to implement the tactics he formulated before, steady and steady, step by step.

Cheng Chong, who has just suffered a loss in this regard, can deeply experience it at this time.

At this time, the commanding height in front of them, that is, to the south of the island, had been occupied by the enemy, and the fire was still very fierce. This is a hard bone that they can hardly chew down in a short time.

In this case, if other areas of the island are still occupied by the enemy, there are still enemy forces. That is undoubtedly very dangerous.

At that time, if we don't pay attention, the enemies distributed in various areas of the island will get in effective contact, gather together again, and give them a left-right siege, flanking attack or something, we will lose a lot. Of course, you can't do such a stupid thing again. Of course, you can't make the same mistake again.

What's more, are they such top special forces elite?

Only by thoroughly eliminating the enemies in other areas of the island and consolidating the area behind them can we rely on, rely on or even detour the base and rear. In this way, at least in terms of terrain, we can barely have the confidence and capital to fight the enemy.

In fact, this is the tactics that Cheng Chong has just formulated, steady and steady, step by step.

After determining the next action plan, Cheng Chong immediately ordered that all special operations teams of the whole special operations formation, including the special operations team of the Marine Corps, quickly restore their independent combat organization, act alone and perform tasks independently.

Because there is no need to rectify the collective action of the special combat formation to deal with the enemy who is distributed in various areas of the island and exists in twos and threes or even alone. It is more than enough for each independent special warfare team to solve them, so that they can not only quickly eliminate the remaining enemies, but also cooperate with each other, so that the remaining enemies distributed in all areas of the island have nowhere to escape.

The campaign to eliminate the remaining enemy soon began quickly and quickly.

Suddenly, in the dense forest on the island, under the darkest night before dawn, the sound of guns came from almost all directions. For a moment, guns were fired everywhere and there were fierce battles on all sides. If people who did not know the truth saw this situation, they would be shocked by the scene in front of them.

Even the enemy, who was on the commanding heights to the south of the island, was confused by this strange scene for a moment. He couldn't figure out what happened on the island. Until their companions distributed in all regions of the island sent out emergency distress messages almost at the same time, they may not understand what happened on the island at the moment.

But what should they do? Save or not?

In fact, from Cheng Chong's heart at the moment, he extremely hopes that the enemies on the commanding height can come down to rescue and help their companions who are about to be completely eliminated.

Because, after the smart Cheng Chong sent out other special operations teams, the lone eagle team he led, that is, the most powerful special operations team, actually stood on the only way for the enemy's assistance and did not go anywhere. He had already made all preparations for combat, opened a big net and waited for work.

It's a good game for the Chinese army to guard and fight for help.

What's more, are they the elite Chinese special forces with extremely strong combat effectiveness?

Using this set of tactics, of course, is more handy and even perfect.

However, the reality made Cheng Chong feel some accidents, and indeed some accidents.

Because, despite the constant gunfire around, one after another, and the excitement of the fight, the area they guard and guard, that is, the area where they set traps and prepare to fight for help, is always quiet as usual, as if nothing had happened.

Did the enemy know something in advance? Don't dare to come down easily and don't want to be fooled easily?

Of course, this reason exists and cannot be completely ruled out.

However, this is still very strange and unusual.

Generally speaking, when their own troops are trapped for help, the vast majority of troops, or other armed forces, can not wait to die. Most of them will take action immediately after considering their own safety or taking necessary defensive measures.

Because saving your comrades in arms and your companions is actually saving yourself.

The reason is very simple. If you can easily abandon your comrades in arms and companions, it just shows that your comrades in arms and companions can also easily abandon you.

After going to the battlefield of life and death, everyone is mutual.

In vernacular, no one is fucking stupid. At the critical moment, if I can exchange my life for your life, it is because at the same time, you can also exchange your life for my life.

It's just heart to heart, it's just each other.

However, at this time, the mercenaries on the commanding height ignored the plight of their companions and the message of asking for help, as if nothing had happened.

This is very strange.

Even at this time, the mercenaries of the scorpion mercenary regiment know that they will take great risks when they go to the rescue, but they can shoot a few shots at will, fire a few shots, and tentatively impact down several times. Even if they just pretend to echo and support with the sound of guns, they can give their trapped comrades in arms and companions the necessary confidence, And great psychological comfort.

But they did nothing. They almost watched their scattered comrades in arms and companions dying and dying.

Although, this group of mercenaries with almost no principles and creeds, in their world view, money is supreme and interests are the most important. But in the face of life and death, and the direct threat of cold lips and teeth, it will not show such indifference and ruthlessness.

What was the reason that prompted the mercenaries to make such a decisive decision?

After all, cutting meat is painful for any individual and group.

Faced with the strange and almost inhuman decision made by the scorpion mercenary regiment, he knew the way of special warfare, and soon fell into meditation after a long battle.

Why on earth is this?